12 tomorrows from 2014
I ordered Twelve Tomorrows. I never really liked science fiction (exceptions like The Hitchhiker’s Guide to the Galaxy – not even sure even that would qualify for science fiction). But I wanted re-evaluate my taste.
The twelve futures in summary:
- Instead of getting electronic detention, limiting the freedom of movement, persistent criminals are blinded. as a replacement for their natural eyesight they get electronic glasses through which they can only observe a pre-filtered reality. In this augmented reality, criminals are tagged, or branded, and everyone can see these brands as a warning sign.
- Biological modification of humans, first under “acupuncture anesthesia”, then in next generations through DNA modification.
- Cybercrime 22h century. Electronically (remotely) scanning a person’s digital identity information to get access to a bank account.
- Genetically manipulated life forms start leading their own life and thus become a threat to human life.
- Modification of human behavior through electronics implants in the human brain, also allowing remote control over a person.
- Human life has moved into space, to other planet amongst which Mars and the Moon. Technology like human hibernation made possible. (A bit of 2001 A Space Odyssee, hmm).
- The internet of stuff, a second internet smart devices, unregulated and avoiding dictatorial suppression (already exists).
- Cyborg man is synthesized with his intelligent leg and can survive his body. His personality is transferred to another computer by the soul of the leg.
- Man cures from a hyperactive damaged brain, chemical drugs (SMOOTH TM) is surpassed by a nanotechnology that can enter the body through the skin when wearing a medical t-shirt.
- Talented, intelligent young girl in Afghan invents a new kind of semiconductor in a repressive Afghan society.
- Internet surveillance in hyperconnected world. Secret services can follow everything you see, through your eyes, extract experiences and take over control. Everybody is under this kind of surveillance.
# Someone pasted quantum chemistry results at this point
~~~
(1)
160
Properties=species:S:1:pos:R:3:mulliken_charge:R:1 method="wB97M-V/def2-TZVPD" gap_ha=0.0650 total_charge=-1 max_force_ha_per_bohr=0.129 energy_ev=-86789.1232
Hg 5.120 -1.464 1.169 0.0135
C -0.646 1.162 -0.813 -1.1311
C 0.184 0.411 0.167 0.6469
C -0.646 -0.542 0.989 -1.1036
O 1.296 -0.213 -0.405 -0.7019
H -1.173 0.610 -1.592 0.2799
H 0.018 1.811 -1.385 0.2396
H -1.417 1.716 -0.278 0.3406
H 0.523 1.130 0.913 0.1238
H 0.016 -1.043 1.695 0.2580
H -1.151 -1.171 0.256 0.2083
H -1.428 -0.071 1.585 0.3362
C 2.856 -3.190 7.581 -0.3859
C 2.288 -4.318 8.309 0.4042
C 1.942 -5.600 7.464 0.4937
O 1.408 -6.555 8.083 -0.5896
C 2.201 -5.574 6.013 -0.3450
C 2.752 -4.499 5.448 0.3817
C 3.103 -3.268 6.227 0.3649
O 3.635 -2.175 5.699 -0.6063
O 3.113 -4.676 4.205 -0.5901
O 2.094 -4.411 9.540 -0.5803
H 3.117 -2.262 8.068 0.4671
H 1.998 -6.442 5.403 0.4754
C -3.343 -3.657 -4.505 -1.1550
C -2.825 -4.598 -3.360 0.3478
C -3.397 -6.058 -3.602 -0.7439
O -4.802 -6.035 -3.726 -0.3360
C -5.622 -5.569 -2.656 -0.6494
N -1.344 -4.546 -3.358 -0.7300
H -4.432 -3.638 -4.546 0.3050
H -3.017 -3.936 -5.507 0.3131
H -3.091 -2.628 -4.249 0.3378
H -3.164 -4.377 -2.348 0.2727
H -3.129 -6.752 -2.805 0.3863
H -3.035 -6.524 -4.518 0.3227
H -5.274 -4.621 -2.246 0.2787
H -5.449 -6.252 -1.824 0.2964
H -6.678 -5.593 -2.927 0.2236
H -1.034 -5.357 -2.841 0.2552
H -1.090 -3.737 -2.810 0.2747
C -2.214 9.023 -4.632 -1.3187
C -2.577 8.306 -3.270 0.3415
C -2.343 6.758 -3.388 -0.5872
O -3.263 6.417 -4.408 -0.3098
C -2.961 5.199 -5.112 -0.6564
N -1.788 8.904 -2.210 -0.7417
H -2.097 10.098 -4.493 0.4113
H -2.917 8.922 -5.458 0.2974
H -1.196 8.774 -4.932 0.2768
H -3.629 8.478 -3.044 0.3488
H -2.584 6.241 -2.459 0.3633
H -1.320 6.619 -3.738 0.2683
H -3.750 4.907 -5.804 0.2411
H -2.924 4.408 -4.363 0.2751
H -1.982 5.356 -5.565 0.2745
H -0.869 8.487 -2.200 0.2508
H -2.073 8.697 -1.263 0.2651
C 0.908 3.634 6.747 -1.3337
C 1.272 4.220 8.121 0.3123
C 1.953 5.638 8.062 -0.6552
O 3.154 5.603 7.303 -0.3278
C 3.602 6.884 6.862 -0.8425
N 0.102 4.022 8.948 -0.6608
H 1.809 3.794 6.155 0.3509
H 0.132 4.215 6.248 0.3484
H 0.683 2.570 6.816 0.3258
H 2.129 3.616 8.417 0.2607
H 2.313 5.974 9.035 0.3334
H 1.291 6.370 7.599 0.3662
H 3.195 7.114 5.877 0.3179
H 4.691 6.925 6.873 0.3004
H 3.439 7.803 7.425 0.3461
H 0.371 4.561 9.759 0.2841
H -0.709 4.495 8.575 0.2735
C 4.729 5.532 0.446 -1.4208
C 5.905 4.575 0.411 0.4114
C 7.222 5.261 0.892 -0.7502
O 7.531 6.480 0.202 -0.3602
C 7.987 6.193 -1.054 -0.7188
N 5.591 3.463 1.244 -0.6712
H 3.865 5.210 -0.134 0.3571
H 5.092 6.522 0.170 0.3833
H 4.365 5.587 1.472 0.3448
H 5.971 4.187 -0.606 0.2396
H 8.065 4.570 0.886 0.3844
H 7.038 5.624 1.904 0.3699
H 8.766 5.431 -1.085 0.3276
H 8.418 7.083 -1.513 0.2852
H 7.207 5.930 -1.769 0.2454
H 5.767 3.830 2.168 0.3099
H 4.582 3.438 1.273 0.2640
C 7.665 -6.389 -1.668 -1.4228
C 7.376 -5.294 -2.664 0.4401
C 7.162 -5.805 -4.058 -0.7818
O 8.308 -6.602 -4.392 -0.2900
C 8.256 -7.385 -5.528 -0.7519
N 6.220 -4.583 -2.236 -0.6092
~~~
- Gene modification aimed at producing fossil gas, turns out to thrive also in the human body. But not for long, people start exploding
I found it difficult to get through the stories. Most of them sketch a dark, unpleasant future. I am trying to understand why that is. Is it because we generally tend to expect the worst of the future? Or is it maybe simply because of the dramatic needs for a story or book. Also, the science factor was not very original, and the writing not very good.
If you like Science Fiction advanced, find the very latest on MIT’s twelve tomorrows web site.
I decided to not touch Science Fiction for some time.
While I got Frank Schatzing’s Limit as a present. More on that later. That’s a 1000+ pages book.